New to running, how to keep going without constant water?



    TAMMYCLARK62 Posts: 98 Member
    I also find wearing some kind of chap stick on my lips helps my mouth from getting too dry....I also drink alot of water all day
  • grubester
    grubester Posts: 8
    I agree that running on a track can be boring. Try a fuelbelt if you need to have water accessible. They are available online and at most specialty running stores.
  • Hi guys! I'm really trying to build on my running, and I've been running on a track that's about 1/4 a mile around, I do this until I hit 3 miles, alternating walking and running, but I also take a sip of water each time I do a lap. I got bored of the same constant laps, and began running on a trail that's 2 miles all the way around. But the trouble is that I can't take a sip of water as often, unless I carry a bottle with me, which seems like such a pain! I really notice the difference, my mouth gets so dry and I have a much harder time without the constant sips of water!

[Here the article breaks off for materials data]
'''
Entry 1:
AgAsS2: computed PXRD pattern (Cu Kα), based on a cell relaxed with GGA-PBE.

Most intense lines, 5° ≤ 2θ ≤ 70°, in order of falling intensity:
- 32.33 deg, d 2.769, I 100.0
- 28.09 deg, d 3.176, I 43.2
- 45.88 deg, d 1.978, I 34.9
- 46.86 deg, d 1.939, I 28.5
- 58.07 deg, d 1.588, I 17.9
- 19.56 deg, d 4.538, I 17.3
- 23.37 deg, d 3.806, I 15.9
- 12.66 deg, d 6.990, I 12.8
- 33.93 deg, d 2.642, I 12.7
- 26.67 deg, d 3.343, I 11.5

Cell and atoms:
Unit cell a=8.7063 b=8.7063 c=8.7063 alpha=106.82 beta=106.82 gamma=106.82
Fractional coordinates of all 24 atoms:
Ag (0.0968, 0.2705, 0.6779)
Ag (0.2705, 0.6779, 0.0968)
Ag (0.3221, 0.9032, 0.7295)
Ag (0.6779, 0.0968, 0.2705)
Ag (0.7295, 0.3221, 0.9032)
Ag (0.9032, 0.7295, 0.3221)
As (0.1294, 0.4174, 0.3407)
As (0.3407, 0.1294, 0.4174)
As (0.4174, 0.3407, 0.1294)
As (0.5826, 0.6593, 0.8706)
As (0.6593, 0.8706, 0.5826)
As (0.8706, 0.5826, 0.6593)
S (0.0646, 0.1423, 0.3478)
S (0.1423, 0.3478, 0.0646)
S (0.1519, 0.6146, 0.7578)
S (0.2422, 0.8482, 0.3854)
S (0.3478, 0.0646, 0.1423)
S (0.3854, 0.2422, 0.8481)
S (0.6146, 0.7578, 0.1519)
S (0.6522, 0.9354, 0.8577)
S (0.7578, 0.1519, 0.6146)
S (0.8481, 0.3854, 0.2422)
S (0.8577, 0.6522, 0.9354)
S (0.9354, 0.8577, 0.6522)

=====

Entry 2:
Ac5Co2Sn: computed PXRD pattern (Cu Kα), based on a cell relaxed with GGA-PBE.

Most intense lines, 5° ≤ 2θ ≤ 70°, in order of falling intensity:
- 30.25 deg, d 2.955, I 100.0
- 34.07 deg, d 2.631, I 70.5
- 24.69 deg, d 3.606, I 53.7
- 32.66 deg, d 2.742, I 46.7
- 28.81 deg, d 3.099, I 41.1
- 53.02 deg, d 1.727, I 31.9
- 48.90 deg, d 1.863, I 29.1
- 39.25 deg, d 2.295, I 24.2
- 61.93 deg, d 1.498, I 23.8
- 63.16 deg, d 1.472, I 21.5

Cell and atoms:
Unit cell a=9.3684 b=9.3684 c=9.3684 alpha=127.27 beta=127.27 gamma=77.81
Fractional coordinates of all 16 atoms:
Ac (0.0000, 0.0000, 0.0000)
Ac (0.0270, 0.5270, 0.8195)
Ac (0.2075, 0.0270, 0.5000)
Ac (0.2925, 0.7925, 0.8195)
Ac (0.4730, 0.2925, 0.5000)
Ac (0.5000, 0.5000, 0.0000)
Ac (0.5270, 0.7075, 0.5000)
Ac (0.7075, 0.2075, 0.1805)
Ac (0.7925, 0.9730, 0.5000)
Ac (0.9730, 0.4730, 0.1805)
Co (0.1432, 0.3568, 0.5000)
Co (0.3568, 0.8568, 0.2135)
Co (0.6432, 0.1432, 0.7865)
Co (0.8568, 0.6432, 0.5000)
Sn (0.2500, 0.2500, 0.0000)
Sn (0.7500, 0.7500, 0.0000)

=====

Entry 3:
Tm5Cu2Te2: computed PXRD pattern (Cu Kα), based on a cell relaxed with GGA-PBE.

Most intense lines, 5° ≤ 2θ ≤ 70°, in order of falling intensity:
- 35.12 deg, d 2.555, I 100.0
- 37.27 deg, d 2.413, I 75.2
- 33.77 deg, d 2.654, I 74.6
- 37.52 deg, d 2.397, I 71.6
- 31.46 deg, d 2.844, I 66.9
- 33.05 deg, d 2.710, I 54.9
- 39.58 deg, d 2.277, I 54.0
- 33.19 deg, d 2.699, I 53.3
- 25.80 deg, d 3.453, I 52.6
- 32.89 deg, d 2.723, I 49.3

Cell and atoms:
Unit cell a=8.5270 b=8.5270 c=7.6704 alpha=90.00 beta=90.00 gamma=53.93
Fractional coordinates of all 18 atoms:
Tm (0.0000, 0.0000, 0.0000)
Tm (0.0427, 0.7182, 0.6609)
Tm (0.2182, 0.5427, 0.1609)
Tm (0.2818, 0.9573, 0.6609)
Tm (0.4573, 0.7818, 0.1609)
'''

    So I'm wondering if anyone out there has any tips? Is this struggle just because I'm not a conditioned runner? I try to drink a ton before I start to run, but then I feel like I just have to pee the whole time, haha. Thanks in advance!! :-)

    Sounds like you are starting out already dehydrated...remember to hydrate every day and that should help, I get dry mouth but that is because I have to breathe through my mouth because my nose plugs up when I I try to keep a fruity mento or three in my reach while running, they keep my mouth moist!

    p.s. your body doesn't need water after every lap!
  • bearxfoo
    bearxfoo Posts: 81 Member
    When I go on my runs/jogs/walks whatever, I never drink. I drink before and after.

    The only time I carry water with me is on really long bike rides, like 15/20 miles or two hours or longer. We have camelbaks and they're really amazing. I HAVE seen people running with them too so it's totally possible. IF you really need the water, but for such a short run I don't think you do.
  • missigus
    missigus Posts: 207 Member
    Have a large glass 2 hours before. Half a small half glass 15 minutes before.

    Me too. This is what i do. Especially, since I don't run over 3 miles. If it's a hot windy day, I just tough it out since it's only going to be a 40 min run- max anyway. I chug water when i get home. A lot of people carry water, I just don't like stuff on me when I run. I figure i can survive the 40 min.
  • Awkward30
    Awkward30 Posts: 1,927 Member
    Water "need" over that short of a distance is psychological. That said, I carry a water bottle because I like a drink after. 30 min and every 15 min after that. My water bottle only holds 12 ounces, so it is close to the weight of my iPhone, so I hold one in each hand. The bottle also straps to my hand. You can get a fuel belt if you want water and don't want to hold it.
  • montana_girl
    montana_girl Posts: 1,403 Member
    I can usually go 3-6 miles without worrying about water if I'm hydrated enough prior to my run; but on those hot & humid days I carry a bottle in a hand carrier and take a sip every 15 minutes. For my longer runs beyond 6 miles I will always carry a water bottle and use my fuel belt for the really long ones over 10 miles.

    ^^ Me too! I drink plenty of water the day before a run and several hours before a long run, but anything over 6 miles, I need water. I tend to dehydrate quickly (a lesson I learned early on), so I take a small water bottle with me on run 6 to 9 miles, and my Camelback on anything over 9 miles.

    Everyone is different, so just be sure to listen to you body. If you feel you need water (even small sips) during your runs, then have it.
  • mfpcopine
    mfpcopine Posts: 3,093 Member
    I do the gum thing too. Pop a new piece in right before i go outside. that will last me for a good 5-8kms. I don't really "chew" and have yet to choke on it.

    I was afraid there might be someone out there who couldn't run and chew gum at the same time. :smile:
  • runfatmanrun
    runfatmanrun Posts: 1,090 Member
    Everyone is different, so just be sure to listen to you body. If you feel you need water (even small sips) during your runs, then have it.

    This. I chew gum too but I don't drink water during the run yet. I'm only at 9 miles though so maybe on longer runs. I hydrate a couple hours before too. Hydrate after too obviously.
  • Aperture_Science
    Aperture_Science Posts: 840 Member
    Just tell your body to shut the *kitten* up and do it's job and run. Tell it that it will get water after it does it's job for you. That should motivate it to finish.

    Best reply! Sipping the water every lap has become a running tick, you don't need the water. Hydrate earlier and have a drink after.
  • Lora0626
    Lora0626 Posts: 54 Member
    Gum and/or cough drops (helps clear your nasal passages) or candy. This helps me out so much! :smile:
  • Trail_Addict
    Trail_Addict Posts: 1,340 Member
    Two pages or responses and no one has asked how hot/ humid the weather is where you run??? That answer can make a big difference on water drinking frequency.
  • arc918
    arc918 Posts: 2,037 Member
    Just tell your body to shut the *kitten* up and do it's job and run. Tell it that it will get water after it does it's job for you. That should motivate it to finish.

**Data records that have nothing to do with the entry:**
........
Starting from DFT lattice parameters and positions (PBE+U), the XRD peak list of MgFe7Ni6O16 was simulated for Cu Ka.

Atomic structure:
```
data_MgFe7Ni6O16
_cell_length_a 6.003
_cell_length_b 6.053
_cell_length_c 10.289
_cell_angle_alpha 75.70
_cell_angle_beta 74.75
_cell_angle_gamma 60.67
_symmetry_space_group_name_H-M 'P -1'
_symmetry_Int_Tables_number 2
loop_
_symmetry_equiv_pos_as_xyz
'x,y,z'
'-x,-y,-z'
loop_
_atom_site_label
_atom_site_fract_x
_atom_site_fract_y
_atom_site_fract_z
_atom_site_occupancy
Mg1 0.000 0.000 0.000 1
Fe1 0.247 0.245 0.230 1
Fe2 0.251 0.257 0.769 1
Fe3 0.257 0.756 0.745 1
Fe4 0.500 0.500 0.000 1
Ni1 0.000 0.000 0.500 1
Ni2 0.000 0.500 0.500 1
Ni3 0.240 0.745 0.254 1
Ni4 0.500 0.000 0.500 1
Ni5 0.500 0.500 0.500 1
O1 0.083 0.105 0.151 1
O2 0.106 0.636 0.131 1
O3 0.130 0.145 0.617 1
O4 0.137 0.626 0.624 1
O5 0.357 0.893 0.863 1
O6 0.380 0.361 0.373 1
O7 0.383 0.861 0.378 1
O8 0.396 0.396 0.856 1
```

Top 10 peaks for 2θ = 15–90°, in order of falling intensity:
2θ 41.4, 2.183 Å, I 1000; 2θ 42.2, 2.141 Å, I 925; 2θ 43.5, 2.082 Å, I 818; 2θ 36.5, 2.459 Å, I 785; 2θ 36.1, 2.485 Å, I 436; 2θ 36.6, 2.454 Å, I 391; 2θ 60.9, 1.522 Å, I 279; 2θ 60.3, 1.535 Å, I 256; 2θ 61.3, 1.511 Å, I 255; 2θ 61.9, 1.500 Å, I 252
........
**End of the data records:**

    Best reply! Sipping the water every lap has become a running tick, you don't need the water. Hydrate earlier and have a drink after.

    I have to agree.

[Records of crystals from another source follow]
Record 1
Starting from DFT lattice parameters and positions (PBE+U), the powder X-ray diffraction pattern of Fe4CoBi5O15 was simulated for Cu Kα X-rays.
Kinematic intensities with the Lorentz-polarization factor, no thermal factor.

Lattice parameters (Å, degrees): 5.6043 9.8555 12.5279 98.17 102.75 106.24
Space group P1 (No. 1)
One atom of each set of equivalent atoms:
Fe 0.0000 0.0000 0.0000 (multiplicity 1)
Fe 0.0964 0.8988 0.2989 (multiplicity 1)
Fe 0.1950 0.7974 0.6004 (multiplicity 1)
Fe 0.3918 0.5958 0.1977 (multiplicity 1)
Fe 0.4923 0.4972 0.4992 (multiplicity 1)
Fe 0.5952 0.3981 0.8016 (multiplicity 1)
Fe 0.7926 0.1987 0.3978 (multiplicity 1)
Fe 0.8941 0.0982 0.7006 (multiplicity 1)
Co 0.2971 0.7054 0.9000 (multiplicity 1)
Co 0.7005 0.3089 0.0978 (multiplicity 1)
Bi 0.0281 0.4114 0.6582 (multiplicity 1)
Bi 0.1303 0.3106 0.9583 (multiplicity 1)
Bi 0.2286 0.2121 0.2520 (multiplicity 1)
Bi 0.3284 0.1096 0.5545 (multiplicity 1)
Bi 0.4377 0.0125 0.8592 (multiplicity 1)
Bi 0.5303 0.9091 0.1546 (multiplicity 1)
Bi 0.6297 0.8088 0.4551 (multiplicity 1)
Bi 0.7306 0.7102 0.7592 (multiplicity 1)
Bi 0.8239 0.6097 0.0520 (multiplicity 1)
Bi 0.9263 0.5072 0.3512 (multiplicity 1)
O 0.0060 0.9552 0.6128 (multiplicity 1)
O 0.0255 0.0860 0.3715 (multiplicity 1)
O 0.0373 0.0754 0.8556 (multiplicity 1)
O 0.0463 0.4506 0.1140 (multiplicity 1)
O 0.1212 0.3860 0.4710 (multiplicity 1)
O 0.1904 0.7742 0.7560 (multiplicity 1)
O 0.2071 0.7539 0.2101 (multiplicity 1)
O 0.2270 0.8797 0.9726 (multiplicity 1)
O 0.2387 0.8765 0.4534 (multiplicity 1)
O 0.2550 0.2562 0.7138 (multiplicity 1)
O 0.3386 0.1870 0.0735 (multiplicity 1)
O 0.3850 0.5753 0.3519 (multiplicity 1)
O 0.4027 0.5569 0.8172 (multiplicity 1)
O 0.4281 0.6868 0.5728 (multiplicity 1)
O 0.4331 0.6719 0.0494 (multiplicity 1)
O 0.4556 0.0544 0.3106 (multiplicity 1)
O 0.5235 0.9872 0.6751 (multiplicity 1)
O 0.5901 0.3712 0.9565 (multiplicity 1)
O 0.6030 0.3551 0.4100 (multiplicity 1)
O 0.6197 0.4778 0.1696 (multiplicity 1)
O 0.6316 0.4743 0.6539 (multiplicity 1)
O 0.6636 0.8589 0.9136 (multiplicity 1)
O 0.7259 0.7817 0.2704 (multiplicity 1)
O 0.7839 0.1772 0.5533 (multiplicity 1)
O 0.8095 0.1606 0.0161 (multiplicity 1)
O 0.8270 0.2859 0.7745 (multiplicity 1)
O 0.8349 0.2771 0.2479 (multiplicity 1)
O 0.8565 0.6551 0.5130 (multiplicity 1)
O 0.9168 0.5840 0.8728 (multiplicity 1)
O 0.9895 0.9760 0.1525 (multiplicity 1)

Most intense lines, 10 to 80 degrees two-theta, in order of rising 2θ:
2theta	I_rel	index
22.2	39	1 1 0
22.4	78	0 1 -3
31.5	50	1 2 -3
31.6	100	0 3 1
31.9	99	-2 1 1
32.1	49	-1 1 4
39.4	30	0 2 4
45.4	24	2 2 0
45.6	46	-2 4 2
51.1	34	2 -5 1
56.7	31	3 1 -4
56.8	33	3 -1 2

Record 2
Starting from DFT lattice parameters and positions (PBE+U), the powder X-ray diffraction pattern of FeCoBi2O6 was simulated for Cu Kα X-rays.
Kinematic intensities with the Lorentz-polarization factor, no thermal factor.

Lattice parameters (Å, degrees): 3.7628 3.7628 9.7635 90.00 90.00 90.00
Space group P4mm (No. 99)

    I see people running 5Ks with a 70 oz. Camelback, yet I routinely run 10 -12 miles without a drink of water, go figure. Why do they drink so much? Because they think they have/need to.

    As an early morning runner, I do all my hydration the night before. If you wait until morning to hydrate, you've waited too long.
  • arc918
    arc918 Posts: 2,037 Member
    Two pages or responses and no one has asked how hot/ humid the weather is where you run??? That answer can make a big difference on water drinking frequency.

    True that!
  • CarsonRuns
    CarsonRuns Posts: 3,039 Member
    For the question of when you "need" water, you need to test your sweat rate. Weigh yourself before and after a run to determine how much fluid you have lost. You can safely lose up to 5% of your body weight. More than that, you need to hydrate during the activity.

    You will obviously need to do this under several different types of conditions so get a baseline and then work from that.
  • JBApplebee
    JBApplebee Posts: 481 Member
    I chew Wrigley's Extra peppermint gum. The flavor lasts over an hour before it gets gross. Or you could run through some lawns as they're being watered.
  • ritmeyer
    ritmeyer Posts: 136 Member
    Assuming you are properly hydrating, I had this same issue when I started running. I've been running for 2 years now, and I don't need water on a run anymore that is 6 miles and under. I'm not as winded and Im conditioned for running. I only stash water or running with a hydration pack 6+ miles, but even that is only in the summer.

    Keep at it, you are doing great!!
  • Chipmaniac
    Chipmaniac Posts: 642 Member
    I'm not sure if anyone has suggested it yet but I use a small Camelbak hydration pack. It doesn't add that much weight and it's extremely convenient. Personally, my mouth gets too parched to go without water too long on a run.
  • angbunny22
    angbunny22 Posts: 54 Member
    tip i learned is to chew gum while running, keeps your mouth moist and less feeling like cotton mouth :) drink plenty of water before and after!
  • chrystee
    chrystee Posts: 295 Member
    I like the camelbak water bottles. I carry it with me. you can also get a fanny pack type of thing that straps it to your waist.